_File_
<<<
(1)
Material: Ba3Y5Ni3O15
Method: DFT, PBE with a Hubbard U
State: relaxed

Computed properties:
Calculated formation energy = -2.7939 eV/atom
E_tot = -7.091 eV per atom

abc: 11.9148 5.8036 11.3231
angles: 90.00 108.63 90.00
Last column: nearest neighbours and their distance in Å.
Space group Cm (No. 8)
Inequivalent atoms, fractional coordinates:
Ba: 0.0000 0.0000 0.0000 (multiplicity 2)  10 O 2.73-2.96
Ba: 0.0085 0.0000 0.3368 (multiplicity 2)  10 O 2.90-2.99
Ba: 0.4916 0.5000 0.6576 (multiplicity 2)  10 O 2.77-3.05
Y: 0.2047 0.5000 0.7338 (multiplicity 2)  7 O 2.28-2.43
Y: 0.2074 0.5000 0.0697 (multiplicity 2)  7 O 2.26-2.43
Y: 0.2917 0.0000 0.5964 (multiplicity 2)  7 O 2.27-2.47
Y: 0.2952 0.0000 0.9336 (multiplicity 2)  7 O 2.26-2.45
Y: 0.2963 0.0000 0.2621 (multiplicity 2)  7 O 2.27-2.44
Ni: 0.0011 0.5000 0.8333 (multiplicity 2)  2 O 1.90
Ni: 0.0099 0.5000 0.5009 (multiplicity 2)  6 O 1.87-2.06
Ni: 0.0161 0.5000 0.1744 (multiplicity 2)  4 O 1.86-2.05
O: 0.1402 0.2541 0.5628 (multiplicity 4)  1 Ni 2.06, 1 Y 2.27
O: 0.1424 0.2488 0.1952 (multiplicity 4)  1 Ni 2.05, 1 Y 2.27
O: 0.1482 0.2646 0.8828 (multiplicity 4)  1 Ni 2.15, 1 Y 2.26
O: 0.3533 0.2338 0.7829 (multiplicity 4)  1 Ni 2.15, 1 Y 2.28
O: 0.3554 0.2373 0.1178 (multiplicity 4)  3 Y 2.26-2.41, 1 Ni 2.28
O: 0.3763 0.2135 0.4561 (multiplicity 4)  1 Ni 1.95
O: 0.4978 0.0000 0.3318 (multiplicity 2)  2 Ni 1.86-1.87
O: 0.4983 0.0000 0.6649 (multiplicity 2)  2 Ni 1.90-1.91
O: 0.4987 0.0000 0.0001 (multiplicity 2)  2 Ni 1.90-1.92

(2)
Material: Ba2YNi3O7
Method: DFT, PBE with a Hubbard U
State: relaxed

Computed properties:
Calculated formation energy = -2.1685 eV/atom
E_tot = -6.003 eV per atom

abc: 7.8160 7.9210 23.0464
angles: 90.00 90.00 90.00
Last column: nearest neighbours and their distance in Å.
Space group Fmmm (No. 69)
Inequivalent atoms, fractional coordinates:
Ba: 0.2500 0.2500 0.0912 (multiplicity 16)  10 O 2.79-2.99
Y: 0.2500 0.2500 0.2500 (multiplicity 8)  8 O 2.42-2.44
Ni: 0.0000 0.0000 0.0000 (multiplicity 4)  4 O 1.87-1.88
Ni: 0.0000 0.0000 0.1714 (multiplicity 8)  5 O 1.99-2.08
Ni: 0.0000 0.0000 0.3293 (multiplicity 8)  5 O 2.00-2.05
Ni: 0.0000 0.0000 0.5000 (multiplicity 4)  4 O 1.89-2.08
O: 0.0000 0.0000 0.0811 (multiplicity 8)  2 Ni 1.87-2.08
O: 0.0000 0.0000 0.4182 (multiplicity 8)  2 Ni 1.89-2.05
O: 0.0000 0.2369 0.0000 (multiplicity 8)  2 Ni 1.88-2.08
O: 0.0000 0.2494 0.1881 (multiplicity 16)  2 Ni 2.01-2.02
O: 0.2496 0.0000 0.1882 (multiplicity 16)  2 Ni 1.99-2.00

(3)
Material: BaYNi4O7
Method: DFT, PBE with a Hubbard U
State: relaxed

Computed properties:
Calculated formation energy = -1.8245 eV/atom
E_tot = -5.761 eV per atom

abc: 6.3474 6.3474 10.4560
angles: 90.00 90.00 120.00
Last column: nearest neighbours and their distance in Å.
Space group P6_3mc (No. 186)
Inequivalent atoms, fractional coordinates:
Ba: 0.3333 0.6667 0.0000 (multiplicity 2)  12 O 3.04-3.34
Y: 0.3333 0.6667 0.3897 (multiplicity 2)  6 O 2.26-2.30
Ni: 0.0000 0.0000 0.4479 (multiplicity 2)  4 O 1.94-2.06
Ni: 0.1722 0.3444 0.6962 (multiplicity 6)  4 O 1.91-1.98
O: 0.0000 0.0000 0.2510 (multiplicity 2)  4 Ni 1.98-2.06
O: 0.0098 0.5049 0.7641 (multiplicity 6)  2 Ni 1.91
O: 0.1648 0.3296 0.5139 (multiplicity 6)  2 Ni 1.91-1.94


Entry 1:
The following is a PBE calculation of a relaxed EuAg5 crystal, from the Materials Project.

## Properties
space group: P6/mmm, No. 191
formation energy: -172 meV/atom

a = 5.727 Å, b = 5.727 Å, c = 4.697 Å
α = 90.00°, β = 90.00°, γ = 120.00°
Sites, in units of the cell vectors:
Eu1 0.000 0.000 0.000
Ag1 0.000 0.500 0.500
Ag2 0.333 0.667 0.000
Ag3 0.500 0.000 0.500
Ag4 0.500 0.500 0.500
Ag5 0.667 0.333 0.000



Entry 2:
The following is a PBE calculation of a relaxed Eu3Ag2 crystal, from the Materials Project.

## Properties
space group: P4/mbm, No. 127
formation energy: -283 meV/atom

a = 8.540 Å, b = 8.540 Å, c = 4.525 Å
α = 90.00°, β = 90.00°, γ = 90.00°
Sites, in units of the cell vectors:
Eu1 0.000 0.000 0.000
Eu2 0.169 0.331 0.500
>>>
_Brief_
Echo only the last part of the rows above, starting with the line that has "0.4978 0.0000".
_Completed_
O: 0.4978 0.0000 0.3318 (multiplicity 2)  2 Ni 1.86-1.87
O: 0.4983 0.0000 0.6649 (multiplicity 2)  2 Ni 1.90-1.91
O: 0.4987 0.0000 0.0001 (multiplicity 2)  2 Ni 1.90-1.92

(2)
Material: Ba2YNi3O7
Method: DFT, PBE with a Hubbard U
State: relaxed

Computed properties:
Calculated formation energy = -2.1685 eV/atom
E_tot = -6.003 eV per atom

abc: 7.8160 7.9210 23.0464
angles: 90.00 90.00 90.00
Last column: nearest neighbours and their distance in Å.
Space group Fmmm (No. 69)
Inequivalent atoms, fractional coordinates:
Ba: 0.2500 0.2500 0.0912 (multiplicity 16)  10 O 2.79-2.99
Y: 0.2500 0.2500 0.2500 (multiplicity 8)  8 O 2.42-2.44
Ni: 0.0000 0.0000 0.0000 (multiplicity 4)  4 O 1.87-1.88
Ni: 0.0000 0.0000 0.1714 (multiplicity 8)  5 O 1.99-2.08
Ni: 0.0000 0.0000 0.3293 (multiplicity 8)  5 O 2.00-2.05
Ni: 0.0000 0.0000 0.5000 (multiplicity 4)  4 O 1.89-2.08
O: 0.0000 0.0000 0.0811 (multiplicity 8)  2 Ni 1.87-2.08
O: 0.0000 0.0000 0.4182 (multiplicity 8)  2 Ni 1.89-2.05
O: 0.0000 0.2369 0.0000 (multiplicity 8)  2 Ni 1.88-2.08
O: 0.0000 0.2494 0.1881 (multiplicity 16)  2 Ni 2.01-2.02
O: 0.2496 0.0000 0.1882 (multiplicity 16)  2 Ni 1.99-2.00

(3)
Material: BaYNi4O7
Method: DFT, PBE with a Hubbard U
State: relaxed

Computed properties:
Calculated formation energy = -1.8245 eV/atom
E_tot = -5.761 eV per atom

abc: 6.3474 6.3474 10.4560
angles: 90.00 90.00 120.00
Last column: nearest neighbours and their distance in Å.
Space group P6_3mc (No. 186)
Inequivalent atoms, fractional coordinates:
Ba: 0.3333 0.6667 0.0000 (multiplicity 2)  12 O 3.04-3.34
Y: 0.3333 0.6667 0.3897 (multiplicity 2)  6 O 2.26-2.30
Ni: 0.0000 0.0000 0.4479 (multiplicity 2)  4 O 1.94-2.06
Ni: 0.1722 0.3444 0.6962 (multiplicity 6)  4 O 1.91-1.98
O: 0.0000 0.0000 0.2510 (multiplicity 2)  4 Ni 1.98-2.06
O: 0.0098 0.5049 0.7641 (multiplicity 6)  2 Ni 1.91
O: 0.1648 0.3296 0.5139 (multiplicity 6)  2 Ni 1.91-1.94


Entry 1:
The following is a PBE calculation of a relaxed EuAg5 crystal, from the Materials Project.

## Properties
space group: P6/mmm, No. 191
formation energy: -172 meV/atom

a = 5.727 Å, b = 5.727 Å, c = 4.697 Å
α = 90.00°, β = 90.00°, γ = 120.00°
Sites, in units of the cell vectors:
Eu1 0.000 0.000 0.000
Ag1 0.000 0.500 0.500
Ag2 0.333 0.667 0.000
Ag3 0.500 0.000 0.500
Ag4 0.500 0.500 0.500
Ag5 0.667 0.333 0.000



Entry 2:
The following is a PBE calculation of a relaxed Eu3Ag2 crystal, from the Materials Project.

## Properties
space group: P4/mbm, No. 127
formation energy: -283 meV/atom

a = 8.540 Å, b = 8.540 Å, c = 4.525 Å
α = 90.00°, β = 90.00°, γ = 90.00°
Sites, in units of the cell vectors:
Eu1 0.000 0.000 0.000
Eu2 0.169 0.331 0.500